Responsible Supply Chain

Materiality assessment process results
Scale: [0–10], where 0 "Not significant" and 10 "Very significant"
Boundaries of the Material Topic |
Where the impacts occur: In all work areas of the Company's Business Units, subsidiaries, contractors and suppliers. |
By whom are the impacts caused: MYTILINEOS' Business Units and subsidiaries, as well as its contractors / suppliers, are directly involved in these impacts. |
The management of the topic by MYTILINEOS contributes to Sustainable Development:
Topic of increased significance to: |
in the context of their cooperation with MYTILINEOS. |
Management Approach
[GRI 102-11] [GRI 103-2c]
The purpose of this disclosure is to inform MYTILINEOS' Stakeholders about the responsible practices applied by the Company in its broader supply chain. The main objectives of the Company, until 2025, are the strengthening of the level of maturity and integration of Sustainable Development in its supply chain, the inclusion of ESG criteria in the selection process for new suppliers and the commitment of existing ones to good and responsible practices, with a view to developing responsible partnerships to better understand impacts and harmonize goals and expectations.
Key Challenges / Impacts
[GRI 103-1a] [GRI 102-15]
Responsible supply chain management is gradually integrated into the regulatory framework at European and national level. Through due diligence processes, partnerships with supply chain members can provide better risk management, help exploit business opportunities, ensure business continuity, and, along the way, could transform the supply chain into a value chain capable of generating extended economic and social value.
[GRI 103-2c]
Development of a responsible supply chain based on ESG criteria and in accordance with the Company's Suppliers / Business Partners Code of Conduct.
Major risks
[GRI 102-15]
The lack of responsible practices in the Company's supply chain can be a source of various risks, such as problems in the supply of raw and other materials and of services, increased environmental impacts, health and safety risks, risks of human rights violations, and ethical and compliance risks, with consequences for the reputation and credibility of MYTILINEOS as well as potential financial sanctions.
Risk Management / Control Practices
[GRI 103-2a] [SASB EM-MM-210b.1]
MYTILINEOS seeks to develop strong, long-standing and mutually beneficial relationships of trust with its suppliers and business partners. The Company's priority is to support its local communities, by establishing partnerships with local suppliers and contractors, while, in the context of its sustainable development strategy, it has launched specific initiatives that are also aimed at expanding responsible practices to its supply chain.
MYTILINEOS typically develops long-term partnerships with a large number of suppliers. Depending on the scope and nature of a specific purchase, priority is given to local suppliers, who are selected on the basis of their solvency, reliability in terms of quality and punctuality in terms of delivery, cost of products or services, available capacity to ensure the quantities required, and capability to meet the requirements of the particular purchase in accordance with the specifications set by the Company's Business Units.
Moreover, MYTILINEOS has developed a dedicated "Suppliers / Business Partners Code of Conduct", which sets out the Company's minimum requirements / expectations from its supply chain actors regarding issues related to responsible entrepreneurship and sustainable development, as a key precondition for entering into any commercial association with them. The Code is structured according to the ESG criteria and is aligned with the United Nations' Sustainable Development Goals.
To strengthen the level of awareness, maturity and integration of Sustainable Development in the supply chain, the Company organizes annual training cycles for its main suppliers in Greece, in cooperation with the CSR Hellas network (a member of CSR Europe).
Supplier evaluation process using ESG criteria MYTILINEOS aims to promote the integration of the principles of sustainable development in its supply chain and to support its business partners in the improvement of their performance in the management of the material ESG topics that concern them. More specifically, MYTILINEOS intends to create, by 2025, a list of suppliers that meet the ESG criteria set by the Company.
In this context, the Company has prepared a custom supplier evaluation questionnaire, which is fully aligned with the requirements of MYTILINEOS' Suppliers / Business Partners Code of Conduct. The evaluation process of new and existing suppliers is gradually being integrated in the Purchases / Procurement units of all Business Units of the Company.
The evaluation of the ESG performance of MYTILINEOS' suppliers and business partners focuses on material sustainable development topics which are directly related to the Sustainable Development Goals and include, among other things, the evaluation of compliance with environmental requirements, the management of health and safety issues, the protection of human rights, as well as ethical and integrity issues.
A basic description of the MYTILINEOS supply chain is presented below:
Basic description of the MYTILINEOS supply chain | |
Main business activities requiring services or products from the supply chain |
Main supplier cate-gories |
[GRI 103-3a-ii]
- At the end of 2021, the number of MYTILINEOS' active suppliers and business partners in Greece and abroad exceeded 10,000. Compared to 2020, no significant changes affecting the Company's activity were recorded in the basic structure of its supply chain.
[GRI 102-10] - MYTILINEOS' total expenditures to its suppliers in Greece for for the production of its products, the supply of services and the development of its projects amounted to nearly €1.6 billion, with the share of the total amount being allocated to domestic suppliers standing at 59.6%, thus indirectly contributing for yet another year to the preservation of jobs and the creation of incomes.
[GRI 204-1] - In 2021, almost 14% of all new suppliers with which MYTILINEOS entered into a commercial relationship were evaluated using environmental criteria, while almost 16% were evaluated using social criteria.
[GRI 308-1] [GRI 414-1] - In 2021, the evaluation of key suppliers using ESG criteria was launched. The information submitted by the suppliers is reviewed in order to estimate whether action should be taken in cases of suppliers' non-compliance, so as to mitigate the risk in the Company's supply chain.
- In the Power & Gas Business Unit, 18 key suppliers have been evaluated.
- In the Metallurgy Business Unit, 6 suppliers have been evaluated in the evaluation carried out in 2021. The evaluation continues during 2022 and, by April 2022, 13 suppliers had been evaluated.
- The evaluation process will be completed in 2022 and actions will be taken as necessary.
-- begin --
Record 1
The following is a quantum chemistry calculation of 8 unconnected molecules or ions with the total composition C40H84O24P4, from the Open Molecules 2025 dataset.

Summary:
* structure (SMILES): CCOP(=O)(OCC)OCC.CCOP(=O)(OCC)OCC.CCOP(=O)(OCC)OCC.CCOP(=O)(OCC)OCC.O=C1CCCO1.O=C1CCCO1.O=C1CCCO1.O=C1CCCO1
* lowest unoccupied orbital energy: 0.42 eV
* HOMO energy: -10.09 eV
* HOMO-LUMO gap: 10.5 eV
* E_tot: -4746.15761 Ha

Each line ends with the Mulliken charge.
Element x y z (Å)
C (-3.80, 5.17, -0.08)  -0.901
C (-2.55, 5.98, -0.31)  -0.589
O (-1.64, 5.11, -1.05)  0.467
P (-0.20, 5.68, -1.50)  0.345
O (0.44, 6.40, -0.41)  -0.846
O (-0.41, 6.49, -2.89)  -0.186
C (0.46, 7.58, -3.16)  -0.227
C (-0.06, 8.86, -2.54)  -1.176
O (0.52, 4.33, -1.98)  -0.139
C (1.20, 3.51, -1.02)  1.399
C (2.63, 3.92, -0.76)  -1.814
H (-4.25, 5.09, -1.08)  0.232
H (-3.63, 4.14, 0.30)  0.040
H (-4.47, 5.82, 0.47)  0.415
H (-2.73, 6.91, -0.84)  0.363
H (-2.04, 6.21, 0.61)  0.428
H (1.50, 7.36, -2.99)  0.309
H (0.28, 7.74, -4.22)  0.286
H (0.40, 9.72, -3.01)  0.427
H (-1.13, 8.97, -2.80)  0.282
H (0.01, 8.99, -1.46)  0.279
H (0.64, 3.50, -0.09)  -0.191
H (1.20, 2.49, -1.42)  -0.440
H (2.64, 4.90, -0.31)  0.554
H (3.08, 3.18, -0.12)  0.346
H (3.15, 3.98, -1.72)  0.377
C (0.28, -5.66, 1.66)  -0.758
C (1.73, -6.16, 1.92)  -0.381
O (2.01, -6.09, 3.29)  -0.227
P (3.50, -6.08, 3.87)  0.653
O (4.60, -6.14, 2.90)  -0.731
O (3.65, -4.63, 4.57)  -0.094
C (2.85, -4.32, 5.66)  0.297
C (3.73, -3.55, 6.61)  -1.588
O (3.35, -7.19, 4.98)  -0.212
C (4.50, -7.64, 5.66)  -0.101
C (4.23, -9.08, 5.88)  -1.413
H (0.25, -4.58, 1.72)  -0.065
H (0.07, -5.89, 0.60)  0.396
H (-0.44, -6.17, 2.29)  0.363
H (1.89, -7.20, 1.62)  0.347
H (2.41, -5.60, 1.30)  0.336
H (1.97, -3.73, 5.37)  -0.043
H (2.50, -5.23, 6.16)  0.540
H (4.28, -2.76, 6.12)  0.306
H (3.24, -3.24, 7.54)  0.425
H (4.55, -4.17, 6.96)  0.401
H (5.39, -7.52, 5.03)  0.376
H (4.58, -7.12, 6.60)  0.228
H (3.23, -9.17, 6.29)  0.330
H (4.24, -9.61, 4.94)  0.327
H (4.86, -9.51, 6.63)  0.419
C (-4.46, -1.66, -4.49)  -1.193
C (-4.48, -0.16, -4.61)  -0.381
O (-3.27, 0.35, -5.09)  -0.067
P (-3.17, 1.77, -5.82)  0.272
O (-4.46, 2.44, -6.07)  -0.828
O (-2.31, 2.53, -4.73)  0.343
C (-2.06, 3.98, -5.05)  -0.213
C (-3.16, 4.92, -4.64)  -1.001
O (-2.16, 1.53, -7.00)  -0.275
C (-0.90, 0.89, -6.88)  0.349
C (0.01, 1.24, -8.07)  -1.242
H (-5.43, -1.99, -4.02)  0.317
H (-4.28, -2.02, -5.50)  0.429
H (-3.61, -1.96, -3.89)  0.155
H (-5.25, 0.21, -5.28)  0.604
H (-4.65, 0.25, -3.63)  0.216
H (-1.16, 4.26, -4.50)  0.180
H (-2.01, 3.99, -6.13)  0.377
H (-3.35, 5.00, -3.56)  -0.067
H (-2.86, 5.89, -5.01)  0.371
H (-4.10, 4.66, -5.12)  0.467
H (-0.57, 0.99, -5.85)  -0.140
H (-1.15, -0.15, -6.87)  0.296
H (1.02, 0.87, -7.84)  0.361
H (-0.39, 0.74, -8.94)  0.319
H (0.01, 2.31, -8.25)  0.328
C (-2.99, -3.42, 3.15)  -1.580
C (-1.81, -2.46, 3.01)  1.199
O (-2.10, -1.35, 3.82)  -0.373
P (-1.13, -0.15, 4.10)  0.649
O (-1.66, 0.91, 4.99)  -0.853
-- stop --
_Here the entry continues_
- Concerning the total number of environmental inspections of contractors / suppliers, 69 such inspections were carried out, resulting in 49 confirmed cases of non-compliance for which appropriate measures were taken. Regarding the total number of inspections related to health and safety issues, 120 such inspections of contractors / suppliers were carried out, resulting in 33 confirmed cases of non-compliance.
- In addition, the Company completed the 2nd training cycle of key suppliers on corporate responsibility topics, increasing the number of suppliers that have already being trained to 85, of which 10 completed an additional in-house training on sustainable development topics.
- The figure below presents the allocation of expenditures to suppliers in 2021 per Business Unit of the Company. The largest expenditure, which also showed a large increase in 2021 (by 84%), concerns the Power & Gas Business Unit. The increase observed is primarily due to the purchase of increased quantities of natural gas and to the price increases that took place during the year. A significant increase was also observed in the expenditures to suppliers in the Sustainable Engineering Solutions (SES) Business Unit, which was to purchases necessary for the construction of the new thermal power plant.

Data on the number of suppliers, their geographical distribution and the expenditures to them per Business Unit are presented below.
Supply Chain Data | 2019 | 2020 | 2021 |
Total number of suppliers | 9,639 | 9,543 | 10,277 |
Geographical distribution | Greece: 82.6% | Greece: 52.3% | Greece: 73.7% |
Total expenditure | €1,954,923,114 | €1,661,972,526 | €2,632,552,530 |
Geographical distribution | Greece: 40.0% | Greece: 52.5% | Greece: 59.6% |